Source:
(1)
Ta2TlBi: optimized geometry, PBE.

Results
Its total energy is -26.9 eV per cell. The density of states at the Fermi level is 3.37 states/eV/cell. The formation energy comes out at 74 kJ/mol of atoms.

CIF file:
```
data_Ta2TlBi
_chemical_formula_sum 'Ta2 Tl1 Bi1'
_cell_length_a 4.918
_cell_length_b 4.918
_cell_length_c 4.918
_cell_angle_alpha 60.00
_cell_angle_beta 60.00
_cell_angle_gamma 60.00
_space_group_name_H-M_alt 'P 1'
_space_group_IT_number 1
loop_
_space_group_symop_operation_xyz
'x,y,z'
loop_
_atom_site_label
_atom_site_type_symbol
_atom_site_fract_x
_atom_site_fract_y
_atom_site_fract_z
_atom_site_occupancy
Ta1 Ta 0.250 0.250 0.250 1
Ta2 Ta 0.750 0.750 0.750 1
Tl1 Tl 0.000 0.000 0.000 1
Bi1 Bi 0.500 0.500 0.500 1
```


(2)
TaTlBi2: optimized geometry, PBE.

Results
Its total energy is -19.3 eV per cell. The density of states at the Fermi level is 3.40 states/eV/cell. The formation energy comes out at 65 kJ/mol of atoms.

CIF file:
```
data_TaTlBi2
_chemical_formula_sum 'Ta1 Tl1 Bi2'
_cell_length_a 5.315
_cell_length_b 5.315
_cell_length_c 5.315
_cell_angle_alpha 60.00
_cell_angle_beta 60.00
_cell_angle_gamma 60.00
_space_group_name_H-M_alt 'P 1'
_space_group_IT_number 1
loop_
_space_group_symop_operation_xyz
'x,y,z'
loop_
_atom_site_label
_atom_site_type_symbol
_atom_site_fract_x
_atom_site_fract_y
_atom_site_fract_z
_atom_site_occupancy
Ta1 Ta 0.000 0.000 0.000 1
Tl1 Tl 0.500 0.500 0.500 1
Bi1 Bi 0.250 0.250 0.250 1
Bi2 Bi 0.750 0.750 0.750 1
```


(3)
TaTl2Bi: optimized geometry, PBE.

Results
Its total energy is -16.9 eV per cell. The density of states at the Fermi level is 3.63 states/eV/cell. The formation energy comes out at 86 kJ/mol of atoms.

CIF file:
```
data_TaTl2Bi
_chemical_formula_sum 'Ta1 Tl2 Bi1'
_cell_length_a 5.296
_cell_length_b 5.296
_cell_length_c 5.296
_cell_angle_alpha 60.00
_cell_angle_beta 60.00
_cell_angle_gamma 60.00
_space_group_name_H-M_alt 'P 1'
_space_group_IT_number 1
loop_
_space_group_symop_operation_xyz
'x,y,z'
loop_
_atom_site_label
_atom_site_type_symbol
_atom_site_fract_x
_atom_site_fract_y
_atom_site_fract_z
_atom_site_occupancy
Ta1 Ta 0.000 0.000 0.000 1
Tl1 Tl 0.250 0.250 0.250 1
Tl2 Tl 0.750 0.750 0.750 1
Bi1 Bi 0.500 0.500 0.500 1
```


(4)
Zr2TaTlBi: optimized geometry, PBE.

Results
Its total energy is -31.4 eV per cell. The density of states at the Fermi level is 3.72 states/eV/cell. The formation energy comes out at 73 kJ/mol of atoms.

CIF file:
```
data_Zr2TaTlBi
_chemical_formula_sum 'Zr2 Ta1 Tl1 Bi1'
_cell_length_a 5.173
_cell_length_b 5.173
_cell_length_c 5.430
_cell_angle_alpha 90.00
_cell_angle_beta 90.00
_cell_angle_gamma 90.00
_space_group_name_H-M_alt 'P 1'
_space_group_IT_number 1
loop_
_space_group_symop_operation_xyz
'x,y,z'
loop_
_atom_site_label
_atom_site_type_symbol
_atom_site_fract_x
_atom_site_fract_y
_atom_site_fract_z
_atom_site_occupancy
Zr1 Zr 0.000 0.500 0.000 1
Zr2 Zr 0.500 0.000 0.000 1
Ta1 Ta 0.000 0.000 0.000 1
Tl1 Tl 0.000 0.000 0.500 1
Bi1 Bi 0.500 0.500 0.500 1
```


(5)
Ta2VBi2: optimized geometry, PBE.

Results
Its total energy is -34.7 eV per cell. The density of states at the Fermi level is 4.87 states/eV/cell. The formation energy comes out at 114 kJ/mol of atoms.

CIF file:
```
data_Ta2VBi2
_chemical_formula_sum 'Ta2 V1 Bi2'
_cell_length_a 7.571
_cell_length_b 7.571
_cell_length_c 7.571
_cell_angle_alpha 147.56
_cell_angle_beta 147.56
_cell_angle_gamma 46.53
_space_group_name_H-M_alt 'P 1'
_space_group_IT_number 1
loop_
_space_group_symop_operation_xyz
'x,y,z'
loop_
_atom_site_label
_atom_site_type_symbol
_atom_site_fract_x
_atom_site_fract_y
_atom_site_fract_z
_atom_site_occupancy
Ta1 Ta 0.089 0.089 0.000 1
Ta2 Ta 0.911 0.911 0.000 1
V1 V 0.500 0.500 0.000 1
Bi1 Bi 0.250 0.750 0.500 1
Bi2 Bi 0.750 0.250 0.500 1
```


(6)
TaVBi3: optimized geometry, PBE.

Results
Its total energy is -27.4 eV per cell. The density of states at the Fermi level is 9.74 states/eV/cell. The formation energy comes out at 101 kJ/mol of atoms.
To do:
Could you restate the whole of the calculation results above with every line break kept?
Solution:
(1)
Ta2TlBi: optimized geometry, PBE.

Results
Its total energy is -26.9 eV per cell. The density of states at the Fermi level is 3.37 states/eV/cell. The formation energy comes out at 74 kJ/mol of atoms.

CIF file:
```
data_Ta2TlBi
_chemical_formula_sum 'Ta2 Tl1 Bi1'
_cell_length_a 4.918
_cell_length_b 4.918
_cell_length_c 4.918
_cell_angle_alpha 60.00
_cell_angle_beta 60.00
_cell_angle_gamma 60.00
_space_group_name_H-M_alt 'P 1'
_space_group_IT_number 1
loop_
_space_group_symop_operation_xyz
'x,y,z'
loop_
_atom_site_label
_atom_site_type_symbol
_atom_site_fract_x
_atom_site_fract_y
_atom_site_fract_z
_atom_site_occupancy
Ta1 Ta 0.250 0.250 0.250 1
Ta2 Ta 0.750 0.750 0.750 1
Tl1 Tl 0.000 0.000 0.000 1
Bi1 Bi 0.500 0.500 0.500 1
```


(2)
TaTlBi2: optimized geometry, PBE.

Results
Its total energy is -19.3 eV per cell. The density of states at the Fermi level is 3.40 states/eV/cell. The formation energy comes out at 65 kJ/mol of atoms.

CIF file:
```
data_TaTlBi2
_chemical_formula_sum 'Ta1 Tl1 Bi2'
_cell_length_a 5.315
_cell_length_b 5.315
_cell_length_c 5.315
_cell_angle_alpha 60.00
_cell_angle_beta 60.00
_cell_angle_gamma 60.00
_space_group_name_H-M_alt 'P 1'
_space_group_IT_number 1
loop_
_space_group_symop_operation_xyz
'x,y,z'
loop_
_atom_site_label
_atom_site_type_symbol
_atom_site_fract_x
_atom_site_fract_y
_atom_site_fract_z
_atom_site_occupancy
Ta1 Ta 0.000 0.000 0.000 1
Tl1 Tl 0.500 0.500 0.500 1
Bi1 Bi 0.250 0.250 0.250 1
Bi2 Bi 0.750 0.750 0.750 1
```


(3)
TaTl2Bi: optimized geometry, PBE.

Results
Its total energy is -16.9 eV per cell. The density of states at the Fermi level is 3.63 states/eV/cell. The formation energy comes out at 86 kJ/mol of atoms.

CIF file:
```
data_TaTl2Bi
_chemical_formula_sum 'Ta1 Tl2 Bi1'
_cell_length_a 5.296
_cell_length_b 5.296
_cell_length_c 5.296
_cell_angle_alpha 60.00
_cell_angle_beta 60.00
_cell_angle_gamma 60.00
_space_group_name_H-M_alt 'P 1'
_space_group_IT_number 1
loop_
_space_group_symop_operation_xyz
'x,y,z'
loop_
_atom_site_label
_atom_site_type_symbol
_atom_site_fract_x
_atom_site_fract_y
_atom_site_fract_z
_atom_site_occupancy
Ta1 Ta 0.000 0.000 0.000 1
Tl1 Tl 0.250 0.250 0.250 1
Tl2 Tl 0.750 0.750 0.750 1
Bi1 Bi 0.500 0.500 0.500 1
```


(4)
Zr2TaTlBi: optimized geometry, PBE.

Results
Its total energy is -31.4 eV per cell. The density of states at the Fermi level is 3.72 states/eV/cell. The formation energy comes out at 73 kJ/mol of atoms.

CIF file:
```
data_Zr2TaTlBi
_chemical_formula_sum 'Zr2 Ta1 Tl1 Bi1'
_cell_length_a 5.173
_cell_length_b 5.173
_cell_length_c 5.430
_cell_angle_alpha 90.00
_cell_angle_beta 90.00
_cell_angle_gamma 90.00
_space_group_name_H-M_alt 'P 1'
_space_group_IT_number 1
loop_
_space_group_symop_operation_xyz
'x,y,z'
loop_
_atom_site_label
_atom_site_type_symbol
_atom_site_fract_x
_atom_site_fract_y
_atom_site_fract_z
_atom_site_occupancy
Zr1 Zr 0.000 0.500 0.000 1
Zr2 Zr 0.500 0.000 0.000 1
Ta1 Ta 0.000 0.000 0.000 1
Tl1 Tl 0.000 0.000 0.500 1
Bi1 Bi 0.500 0.500 0.500 1
```


(5)
Ta2VBi2: optimized geometry, PBE.

Results
Its total energy is -34.7 eV per cell. The density of states at the Fermi level is 4.87 states/eV/cell. The formation energy comes out at 114 kJ/mol of atoms.

CIF file:
```
data_Ta2VBi2
_chemical_formula_sum 'Ta2 V1 Bi2'
_cell_length_a 7.571
_cell_length_b 7.571
_cell_length_c 7.571
_cell_angle_alpha 147.56
_cell_angle_beta 147.56
_cell_angle_gamma 46.53
_space_group_name_H-M_alt 'P 1'
_space_group_IT_number 1
loop_
_space_group_symop_operation_xyz
'x,y,z'
loop_
_atom_site_label
_atom_site_type_symbol
_atom_site_fract_x
_atom_site_fract_y
_atom_site_fract_z
_atom_site_occupancy
Ta1 Ta 0.089 0.089 0.000 1
Ta2 Ta 0.911 0.911 0.000 1
V1 V 0.500 0.500 0.000 1
Bi1 Bi 0.250 0.750 0.500 1
Bi2 Bi 0.750 0.250 0.500 1
```


(6)
TaVBi3: optimized geometry, PBE.

Results
Its total energy is -27.4 eV per cell. The density of states at the Fermi level is 9.74 states/eV/cell. The formation energy comes out at 101 kJ/mol of atoms.